Using Video to Support Democracy in Myanmar

Next to the text, the page also holds materials data:
+++
No. 1
SrCrPd2: computed X-ray diffraction stick pattern (Cu Ka), based on DFT lattice parameters and positions (GGA-PBE).

Largest 6 diffraction maxima, sorted by position, 2θ = 10–80°:
| two_theta | I/Imax |
| --- | --- |
| 22.45 | 63 |
| 37.06 | 1000 |
| 43.76 | 34 |
| 53.42 | 169 |
| 66.80 | 337 |
| 78.93 | 104 |

Unit cell a=4.8514 b=4.8514 c=4.8514 alpha=60.00 beta=60.00 gamma=60.00
Element x y z (fractional)
Sr (0.0000, 0.0000, 0.0000)
Cr (0.7500, 0.7500, 0.7500)
Pd (0.2500, 0.2500, 0.2500)
Pd (0.5000, 0.5000, 0.5000)

No. 2
GdSnPd: computed X-ray diffraction stick pattern (Cu Ka), based on DFT lattice parameters and positions (GGA-PBE).

Largest 6 diffraction maxima, sorted by position, 2θ = 10–80°:
| two_theta | I/Imax |
| --- | --- |
| 31.87 | 338 |
| 33.14 | 1000 |
| 38.70 | 606 |
| 38.86 | 306 |
| 51.95 | 152 |
| 63.15 | 177 |

Unit cell a=7.2997 b=4.6352 c=8.0660 alpha=90.00 beta=90.00 gamma=90.00
Element x y z (fractional)
Gd (0.0102, 0.2500, 0.2006)
Gd (0.4898, 0.7500, 0.7006)
Gd (0.5102, 0.2500, 0.2994)
Gd (0.9898, 0.7500, 0.7994)
Sn (0.1840, 0.2500, 0.5825)
Sn (0.3160, 0.7500, 0.0825)
Sn (0.6840, 0.2500, 0.9175)
Sn (0.8160, 0.7500, 0.4175)
Pd (0.2130, 0.7500, 0.4084)
Pd (0.2870, 0.2500, 0.9084)
Pd (0.7130, 0.7500, 0.0916)
Pd (0.7870, 0.2500, 0.5916)

No. 3
SrMg6TiO8: computed X-ray diffraction stick pattern (Cu Ka), based on DFT lattice parameters and positions (GGA-PBE).

Largest 6 diffraction maxima, sorted by position, 2θ = 10–80°:
| two_theta | I/Imax |
| --- | --- |
| 34.68 | 420 |
| 39.94 | 1000 |
| 40.89 | 453 |
| 57.77 | 296 |
| 58.49 | 554 |
| 73.18 | 260 |

Unit cell a=4.5142 b=4.5142 c=8.8276 alpha=90.00 beta=90.00 gamma=90.00
Element x y z (fractional)
Sr (0.0000, 0.0000, 0.0000)
Mg (0.0000, 0.5000, 0.2576)
Mg (0.0000, 0.5000, 0.7424)
Mg (0.5000, 0.0000, 0.2576)
Mg (0.5000, 0.0000, 0.7424)
Mg (0.5000, 0.5000, 0.0000)
Mg (0.5000, 0.5000, 0.5000)
Ti (0.0000, 0.0000, 0.5000)
O (0.0000, 0.0000, 0.2687)
O (0.0000, 0.0000, 0.7313)
O (0.0000, 0.5000, 0.0000)
O (0.0000, 0.5000, 0.5000)
O (0.5000, 0.0000, 0.0000)
O (0.5000, 0.0000, 0.5000)
O (0.5000, 0.5000, 0.2512)
O (0.5000, 0.5000, 0.7488)

No. 4
Bi12BO20: computed X-ray diffraction stick pattern (Cu Ka), based on DFT lattice parameters and positions (GGA-PBE).

Largest 6 diffraction maxima, sorted by position, 2θ = 10–80°:
| two_theta | I/Imax |
| --- | --- |
| 24.82 | 258 |
| 27.81 | 1000 |
| 30.52 | 212 |
| 33.04 | 670 |
| 52.60 | 449 |
| 55.87 | 269 |

Unit cell a=8.7857 b=8.7857 c=8.7857 alpha=109.47 beta=109.47 gamma=109.47
Element x y z (fractional)
Bi (0.1410, 0.8393, 0.3286)
Bi (0.1607, 0.3018, 0.4893)
Bi (0.1875, 0.6982, 0.8590)
Bi (0.3018, 0.4893, 0.1607)
Bi (0.3286, 0.1410, 0.8393)
Bi (0.4893, 0.1607, 0.3018)
Bi (0.5107, 0.8125, 0.6714)
Bi (0.6714, 0.5107, 0.8125)
Bi (0.6982, 0.8590, 0.1875)
Bi (0.8125, 0.6714, 0.5107)
Bi (0.8393, 0.3286, 0.1410)
Bi (0.8590, 0.1875, 0.6982)
B (0.0000, 0.0000, 0.0000)
O (0.0000, 0.0000, 0.3996)
O (0.0000, 0.0000, 0.8277)
+++
End of the materials data:

In July 2013, two members of the EngageMedia staff went on a scoping visit to Yangon (Myanmar) and Chiang Mai (Thailand) to see how video is being used by Burmese filmmakers and video-producing organisations to support democracy.

The full report is available for download here: Using Video to Support Democracy in Myanmar

Through interviews, we explored the following topics:

Materials data, as found in the file:
~~~
Structure and calculated X-ray diffraction stick pattern of Rb4Tc6S13 (a cell relaxed with GGA-PBE; CuKα).
No peak broadening, texture or thermal motion is included.

Principal peaks in the range 2θ from 5° to 70°, in order of rising 2θ:
10.53 deg, rel. 93.7
11.51 deg, rel. 100.0
12.70 deg, rel. 43.5
13.06 deg, rel. 70.8
18.31 deg, rel. 20.8
23.18 deg, rel. 17.6
35.80 deg, rel. 16.1
37.10 deg, rel. 18.3
47.18 deg, rel. 28.4
48.08 deg, rel. 18.0

```
data_Rb4Tc6S13
_chemical_formula_sum 'Rb8 Tc12 S26'
_symmetry_space_group_name_H-M 'P 1'
_symmetry_Int_Tables_number 1
_symmetry_space_group_name_Hall 'P 1'
_cell_length_a 9.733
_cell_length_b 9.733
_cell_length_c 14.126
_cell_angle_alpha 94.72
_cell_angle_beta 94.72
_cell_angle_gamma 119.40
loop_
_atom_site_label
_atom_site_type_symbol
_atom_site_fract_x
_atom_site_fract_y
_atom_site_fract_z
Rb1 Rb 0.124 0.404 0.619
Rb2 Rb 0.200 0.261 0.340
Rb3 Rb 0.261 0.200 0.840
Rb4 Rb 0.404 0.124 0.119
Rb5 Rb 0.596 0.876 0.881
Rb6 Rb 0.739 0.800 0.160
Rb7 Rb 0.800 0.739 0.660
Rb8 Rb 0.876 0.596 0.381
Tc1 Tc 0.074 0.655 0.108
Tc2 Tc 0.099 0.656 0.924
Tc3 Tc 0.182 0.484 0.020
Tc4 Tc 0.344 0.901 0.576
Tc5 Tc 0.345 0.926 0.392
Tc6 Tc 0.484 0.182 0.520
Tc7 Tc 0.516 0.818 0.480
Tc8 Tc 0.655 0.074 0.608
Tc9 Tc 0.656 0.099 0.424
Tc10 Tc 0.818 0.516 0.980
Tc11 Tc 0.901 0.344 0.076
Tc12 Tc 0.926 0.345 0.892
S1 S 0.005 0.199 0.991
S2 S 0.142 0.760 0.678
S3 S 0.142 0.858 0.250
S4 S 0.146 0.484 0.186
S5 S 0.193 0.493 0.852
S6 S 0.199 0.005 0.491
S7 S 0.230 0.671 0.453
S8 S 0.240 0.858 0.822
S9 S 0.329 0.770 0.047
S10 S 0.422 0.453 0.052
S11 S 0.453 0.422 0.552
S12 S 0.484 0.146 0.686
S13 S 0.493 0.193 0.352
S14 S 0.507 0.807 0.648
S15 S 0.516 0.854 0.314
S16 S 0.547 0.578 0.448
S17 S 0.578 0.547 0.948
S18 S 0.671 0.230 0.953
S19 S 0.760 0.142 0.178
S20 S 0.770 0.329 0.547
S21 S 0.801 0.995 0.509
S22 S 0.807 0.507 0.148
S23 S 0.854 0.516 0.814
S24 S 0.858 0.142 0.750
S25 S 0.858 0.240 0.322
S26 S 0.995 0.801 0.009
```

----------

Starting from a PBE-relaxed structure, the X-ray diffraction stick pattern of NaGe2Pd3 was computed for Cu Kα.
Intensities are scaled so that the largest is 1000.

Structural model:
```
NaGe2Pd3
1.0
-3.6809 4.9891 2.9843
3.6809 -4.9891 2.9843
3.6809 4.9891 -2.9843
Na Ge Pd
2 4 6
direct
0.4503 0.2003 0.2500
0.5497 0.7997 0.7500
0.1126 0.6871 0.4255
0.2384 0.3129 0.9255
0.7616 0.6871 0.0745
0.8874 0.3129 0.5745
0.0000 0.0000 0.5000
0.0000 0.2009 0.2009
0.0000 0.5000 0.0000
0.0000 0.7991 0.7991
0.5000 0.2009 0.7009
0.5000 0.7991 0.2991
```

Main lines, in order of falling intensity (10 to 90 degrees two-theta):
d [Å]  I/Imax
5.122  1000
2.102  942
2.281  807
2.065  768
4.989  646
2.561  621
2.495  336
2.270  275
1.453  257
2.318  221

----------

No. 1
This entry pairs a crystal structure of Hf3InAs5 with its calculated PXRD pattern. Radiation: Cu Ka. Structure: a GGA-PBE-relaxed structure.
Neutral-atom scattering factors, no anomalous dispersion.

Cell and atoms:
~~~

  • topics and themes being covered in their videos;
  • film and video capacity building;
  • distribution practices;
  • archiving practices

We also looked at the political situation, internet access, technical capacities and other social issues in Myanmar that may affect video production, distribution and archiving practices and needs of filmmakers and video-producing organisations.

The organisations we interviewed included the Democratic Voice of Burma, Human Rights Education Institute of Burma (HREIB, Myanmar ICT Development Organisation (MIDO), Yangon Film School, Kamayut Media and Burma News International. We also interviewed filmmakers in Yangon.

Some Highlights from the Report

On Film and Video Capacity Building

There are organisations like the Yangon Film School, and the House of Media Entertainment (HOME) that offer video production training (both for beginners and advanced video makers). There are also opportunities provided for Burmese filmmakers to study abroad. Groups like Kamayut Media offer intensive video journalism training as well.

On Video Distribution Practices

Given the limitations of internet access in Myanmar, online video distribution has been limited. Although many of the filmmakers and video-producing organisations have their channels on Youtube, they really have not thought about online video distribution strategically.

For offline distribution, there is a lot more creativity and strategic-thinking. HOME produces a monthly DVD magazine, Motion Magazine, of short videos and films on human rights, democracy, and other social issues. The distribution of this DVD magazine is nationwide through the different National League of Democracy offices and chapters across Myanmar.

Film festivals are also another space where filmmakers are distributing their films locally. There are three annual film festivals in Myanmar:

  • The Art of Freedom Film Festival
  • Human Rights and Dignity Film Festival
  • Watthan Film Festival

These festivals provide an impetus for filmmakers to produce films as well.

For most video-producing organisations, the Democratic Voice of Burma still remains the main distribution channel for broadcasting films and videos.

Some Conclusions

There is an strong, vibrant and growing video field and community in Myanmar. There are opportunities for capacity building and there are examples of creative offline distribution practices. But there is room for growth:

Someone pasted materials data at this point =
'''
Record 1
PmYBiAs: calculated X-ray powder pattern (λ = 1.5418 Å (Cu Kα)), based on a structure optimized by DFT (PBE).

Crystal structure
```
data_PmYBiAs
_symmetry_space_group_name_H-M 'R 3 m'
_symmetry_Int_Tables_number 160
_symmetry_space_group_name_Hall 'R 3 -2"'
_cell_length_a 4.3212
_cell_length_b 4.3212
_cell_length_c 21.6277
_cell_angle_alpha 90.00
_cell_angle_beta 90.00
_cell_angle_gamma 120.00
loop_
_atom_site_label
_atom_site_type_symbol
_atom_site_fract_x
_atom_site_fract_y
_atom_site_fract_z
_atom_site_occupancy
Pm1 Pm 0.0000 0.0000 0.0000 1
Y1 Y 0.0000 0.0000 0.5155 1
Bi1 Bi 0.0000 0.0000 0.7600 1
As1 As 0.0000 0.0000 0.2558 1
```

Most intense lines, 2θ from 10° to 90°, by angle:
2θ/deg	Rel. int.	index
12.28	9	0 0 3
24.14	13	1 0 1
29.02	100	1 0 4
31.61	12	0 1 5
41.19	37	0 1 8
41.81	38	1 1 0
51.70	20	0 2 4
57.35	7	1 1 9
60.14	12	2 0 8
67.70	15	1 1 12
68.58	17	2 1 4
75.92	12	1 2 8

***

Record 2
Pr2BiAs: calculated X-ray powder pattern (λ = 1.5418 Å (Cu Kα)), based on a structure optimized by DFT (PBE).

Crystal structure
```
data_Pr2BiAs
_symmetry_space_group_name_H-M 'R 3 m'
_symmetry_Int_Tables_number 160
_symmetry_space_group_name_Hall 'R 3 -2"'
_cell_length_a 4.4128
_cell_length_b 4.4128
_cell_length_c 22.8692
_cell_angle_alpha 90.00
_cell_angle_beta 90.00
_cell_angle_gamma 120.00
loop_
_atom_site_label
_atom_site_type_symbol
_atom_site_fract_x
_atom_site_fract_y
_atom_site_fract_z
_atom_site_occupancy
Pr1 Pr 0.0000 0.0000 0.0000 1
Pr2 Pr 0.0000 0.0000 0.1844 1
Bi1 Bi 0.0000 0.0000 0.4248 1
As1 As 0.0000 0.0000 0.5936 1
```

Most intense lines, 2θ from 10° to 90°, by angle:
2θ/deg	Rel. int.	index
23.60	27	1 0 1
24.56	27	0 1 2
28.09	40	1 0 4
30.48	100	0 1 5
36.17	40	1 0 7
40.90	60	1 1 0
46.26	12	1 0 10
51.86	23	2 0 5
55.13	11	1 1 9
55.73	12	0 2 7
64.63	28	1 1 12
68.07	20	1 2 5
'''

  • connecting Burmese filmmakers to international, Southeast Asian audiences and filmmakers
  • connecting Burmese filmmakers and video-producing organisations to social movements locally and internationally, ensuring that the content being produced by filmmakers can support these movements